Lawn Care: Keeping it Spring Green
With proper care, your spring green lawn can stay that way despite the threats that it might face. Major problems to watch out for are weed-growth, fungal attacks, and insect pests. Keeping your lawn healthy requires paying close attention to any changes in appearance. This article is focused on a major enemy of the dandelion. Joking aside, weeds are a major annoyance, especially something that sticks out like a sore thumb like the dandelion. You’ve given your beautiful spring green lawn loving care, but one day as you are happily mowing away, you spot a fuzzy head poking out of your perfect green oasis. Once it’s there, it’s going to be a pain in the butt to get rid of.
Before it gets to that point, consider using a pre-emergent herbicide specifically for broad-leafed weeds like the dandelion. It is reported that isoxaben, which is available for commercial use, may be particularly effective against broadleaf weeds if applied to the soil before the seeds can germinate. Once established however, your only options are using post-emergent herbicides or actually pulling the dandelion out.
# Here the piece breaks off for records of crystals
-- begin --
YIn3N | PBE-GGA | relaxed

a b c (Å): 4.8253 4.8253 4.8253
angles (deg): 90.00 90.00 90.00
Closest atoms and distances in Å follow each position.
Space group Pm-3m (No. 221)
One atom of each set of equivalent atoms:
Y (0.0000, 0.0000, 0.0000) (multiplicity 1)  12 In 3.41
In (0.0000, 0.5000, 0.5000) (multiplicity 3)  2 N 2.41
N (0.5000, 0.5000, 0.5000) (multiplicity 1)  6 In 2.41

Summary:
E_form (uncorrected) (eV per atom): 0.32
Energy above the most stable polymorph in this dataset (meV/atom): 0.0

***

Y6In2N | PBE-GGA | relaxed

a b c (Å): 9.7419 9.7419 9.7419
angles (deg): 90.00 90.00 90.00
Closest atoms and distances in Å follow each position.
Space group Fm-3m (No. 225)
One atom of each set of equivalent atoms:
Y (0.0000, 0.0000, 0.2442) (multiplicity 24)  1 N 2.38
In (0.2500, 0.2500, 0.2500) (multiplicity 8)  12 Y 3.44
N (0.0000, 0.0000, 0.0000) (multiplicity 4)  6 Y 2.38

Summary:
E_form (uncorrected) (eV per atom): -0.66

***

Y2InN | PBE-GGA | relaxed

a b c (Å): 3.5439 3.5439 23.6602
angles (deg): 90.00 90.00 120.00
Closest atoms and distances in Å follow each position.
Space group R-3m (No. 166, hexagonal axes)
One atom of each set of equivalent atoms:
Y (0.0000, 0.0000, 0.2232) (multiplicity 6)  3 N 2.44
In (0.0000, 0.0000, 0.0000) (multiplicity 3)  6 Y 3.31, 6 In 3.54
N (0.0000, 0.0000, 0.5000) (multiplicity 3)  6 Y 2.44

Summary:
E_form (uncorrected) (eV per atom): -1.05

***

Y2InN | PBE-GGA | relaxed

a b c (Å): 3.5532 5.8564 8.5778
angles (deg): 90.00 90.00 90.00
Closest atoms and distances in Å follow each position.
Space group Cmmm (No. 65)
One atom of each set of equivalent atoms:
Y (0.0000, 0.0000, 0.1821) (multiplicity 4)  2 N 2.37
In (0.0000, 0.5000, 0.5000) (multiplicity 2)  4 Y 3.25, 6 In 3.43-3.55
N (0.0000, 0.5000, 0.0000) (multiplicity 2)  4 Y 2.37

Summary:
E_form (uncorrected) (eV per atom): -0.60

***

Y2InN | PBE-GGA | relaxed

a b c (Å): 7.0667 7.0667 7.0667
angles (deg): 90.00 90.00 90.00
Closest atoms and distances in Å follow each position.
Space group Fm-3m (No. 225)
One atom of each set of equivalent atoms:
Y (0.2500, 0.2500, 0.2500) (multiplicity 8)  4 In 3.06, 4 N 3.06
In (0.0000, 0.0000, 0.0000) (multiplicity 4)  8 Y 3.06
N (0.0000, 0.0000, 0.5000) (multiplicity 4)  8 Y 3.06

Summary:
E_form (uncorrected) (eV per atom): 0.29

***

YInN3 | PBE-GGA | relaxed

a b c (Å): 4.5129 4.5129 4.5129
angles (deg): 90.00 90.00 90.00
Closest atoms and distances in Å follow each position.
Space group Pm-3m (No. 221)
One atom of each set of equivalent atoms:
Y (0.0000, 0.0000, 0.0000) (multiplicity 1)  6 N 2.26
In (0.5000, 0.5000, 0.5000) (multiplicity 1)  12 N 3.19
N (0.0000, 0.0000, 0.5000) (multiplicity 3)  2 Y 2.26

Summary:
E_form (uncorrected) (eV per atom): 1.13

***

YInN3 | PBE-GGA | relaxed

a b c (Å): 4.1187 4.1187 4.1187
angles (deg): 90.00 90.00 90.00
Closest atoms and distances in Å follow each position.
Space group Pm-3m (No. 221)
One atom of each set of equivalent atoms:
-- stop --
Considering the fact that dandelions have long, long taproots, it can be difficult and time-consuming task as they can grow up to 10 inches in length. Notoriously brittle and prone to breakage, if even a small piece of the taproot is left in the ground, the weed will regenerate. Despite all your care, your spring green lawn will likely suffer future outbreaks if you take this approach.
They’re Here – Run for Your Lives!
-- Unrelated to this entry: materials data --
********
Density functional theory data (PBE) for a relaxed Pd2SO crystal.

Geometry as POSCAR:
```
Pd2SO
1.0
5.892 0.000 0.000
0.000 5.892 0.000
2.946 2.946 3.445
Pd O S
4 2 2
direct
0.375 0.395 0.750
0.875 0.855 0.750
0.605 0.125 0.250
0.145 0.625 0.250
0.500 0.500 0.000
0.250 0.750 0.500
0.750 0.250 0.500
0.000 0.000 0.000
```

Properties
**Space-group type**: No. 122
**Polymorph energy (0 for the lowest one)**: 0.0 meV per atom
********
-- So much for the materials data --
You might want to run screaming from your fuzzy little enemy, or tear your hair out, but assuming you choose not to do either, what do you do? Well, the most commonly used post-emergent herbicide is Weed-B-Gone. This is probably one of your best bets after they’re established, as it specifically targets the weed itself and leaves your lawn blissfully unharmed. Apparently, it is possible to apply vinegar as a more non-toxic and environmentally friendly option, but its use requires that you apply it directly to the dandelion. Exercise care, or your spring green lawn will turn brown should you accidentally dose your grass with vinegar.
Failing that, you could always give up the idea of spring green lawn care entirely and give your yard over to the dandelions. Interestingly enough, dandelions have actually been used as foodstuff by various people, and they’ve been used medicinally in the past. The leaves can be used in a salad, and you can even make dandelion wine and jams. Of course, assuming you don’t want to graze on dandelion leaves anytime soon, try some of the above options to get rid of these weeds.